The Cost of Disorganization and Why Your Business Needs Manage You ASAP

Published on May 22, 2024

The Cost of Disorganization and Why Your Business Needs Manage You ASAP

In the fast-paced and competitive world of business, organization is the key to success. Unfortunately, disorganization can creep in, causing numerous challenges that have the potential to impact your company’s growth and bottom line. From lost productivity to compliance risks, the cost of disorganization can be significant. But fear not! The solution lies in adopting a powerful document management tool like Manage You. In this blog, we’ll explore the hidden costs of disorganization and why implementing Manage You is essential to streamline operations, boost productivity, and safeguard your business from unnecessary expenses.

Lost Time, Lost Opportunities

Disorganization is synonymous with lost time. Employees spend valuable hours sifting through heaps of documents to find what they need, affecting their productivity and efficiency. According to a study by IDC, knowledge workers spend an average of 2.5 hours per day searching for information. With Manage You’s centralized document storage and intuitive search features, your team can access vital information instantly, reclaiming lost time and capitalizing on new opportunities.

Missed Deadlines and Revenue Loss

[The entry is interrupted by quantum chemistry results]
110
Properties=species:S:1:pos:R:3 method="wB97M-V/def2-TZVPD" fmax_ev_per_a=5.3 spin_multiplicity=1 gap_ha=0.2837 homo_ev=-9.16 total_charge=0
C -3.490 -3.026 0.611
C -2.465 -2.847 -0.602
O -2.403 -3.745 -1.478
N -1.524 -1.676 -0.754
C -2.290 -0.540 -1.306
C -1.615 0.701 -2.108
O -3.557 -0.488 -1.222
C -0.915 -1.360 0.559
C -0.355 -2.503 1.469
C 0.261 -2.296 2.873
N 0.719 -3.467 3.654
C 1.977 -3.726 3.392
S 3.636 -3.516 3.369
C 0.345 -0.855 3.431
C -0.177 0.296 2.515
C -0.790 0.088 1.113
C -0.074 1.778 3.145
O 0.224 2.818 2.480
C -0.436 1.852 4.716
C -1.285 3.030 5.244
C -1.637 3.016 6.763
C -1.165 1.852 7.707
C -0.286 0.671 7.144
C 0.066 0.683 5.643
C 0.914 -0.470 4.893
O 1.928 -1.017 5.393
H -3.534 -2.066 1.236
H -3.049 -3.832 1.310
H -4.508 -3.413 0.275
H -0.623 0.427 -2.596
H -2.374 0.940 -2.946
H -1.583 1.618 -1.432
H -0.440 -3.571 1.084
H -1.127 1.010 0.544
H -1.598 3.829 4.499
H -2.291 3.884 7.131
H -1.478 1.888 8.810
H 0.036 -0.178 7.833
C -4.414 2.859 1.454
O -5.736 3.276 1.792
C -5.897 3.602 3.086
O -5.042 3.568 3.937
O -7.176 3.972 3.265
C -7.494 4.348 4.604
H -4.401 2.622 0.390
H -3.697 3.664 1.637
H -4.138 1.961 2.012
H -6.900 5.212 4.913
H -7.340 3.509 5.287
H -8.548 4.626 4.631
C -7.340 -5.834 -0.594
O -7.131 -5.575 0.793
C -8.191 -5.851 1.572
O -9.254 -6.281 1.196
O -7.860 -5.564 2.843
C -8.900 -5.811 3.788
H -6.422 -5.575 -1.123
H -7.549 -6.892 -0.762
H -8.150 -5.213 -0.984
H -9.172 -6.869 3.795
H -9.772 -5.189 3.572
H -8.522 -5.545 4.776
C 5.159 -3.641 -1.020
O 4.233 -3.762 -2.100
C 2.960 -3.491 -1.766
O 2.568 -3.169 -0.671
O 2.198 -3.641 -2.865
C 0.811 -3.380 -2.652
H 6.151 -3.883 -1.403
H 5.175 -2.618 -0.639
H 4.915 -4.347 -0.223
H 0.658 -2.347 -2.335
H 0.397 -4.075 -1.918
H 0.291 -3.531 -3.599
C 3.073 1.654 2.026
O 3.925 1.303 0.935
C 4.733 2.293 0.524
O 4.788 3.405 0.989
O 5.473 1.827 -0.499
C 6.386 2.779 -1.042
H 2.468 0.780 2.271
H 3.667 1.919 2.904
H 2.403 2.470 1.751
H 7.109 3.094 -0.286
H 5.849 3.640 -1.446
H 6.928 2.297 -1.856
C 3.369 -3.201 -5.126
O 4.141 -2.553 -6.139
C 4.009 -1.218 -6.161
O 3.316 -0.561 -5.419
O 4.781 -0.737 -7.151
C 4.738 0.682 -7.290
H 3.552 -4.274 -5.201
H 3.678 -2.868 -4.140
H 2.303 -3.021 -5.280
H 5.100 1.169 -6.382
H 3.725 1.015 -7.530
H 5.396 0.956 -8.115
C 3.806 5.218 -3.615
O 4.657 4.864 -4.705
C 5.465 5.855 -5.117
O 5.518 6.967 -4.652
O 6.206 5.390 -6.139
C 7.118 6.343 -6.681
H 3.200 4.346 -3.366
H 4.396 5.489 -2.737
H 3.137 6.033 -3.898
H 7.840 6.659 -5.925
H 6.580 7.204 -7.086
H 7.659 5.860 -7.495

=====

[1]
The following is a DFT calculation (the ωB97M-V functional and the def2-TZVPD basis) of a molecular structure, C30H40BCuF5N6S in a non-equilibrium geometry.

The geometry in XYZ format:
```
84
Properties=species:S:1:pos:R:3:forces:R:3:mulliken_charge:R:1
Cu 0.020839 -0.359751 0.166445 -0.85 0.88 0.85 1.14
C -2.206131 3.995601 -1.975206 -0.06 0.02 -0.05 -1.40
C -2.054765 2.513232 -1.910859 0.02 0.10 -0.06 0.44
C -2.408137 1.567513 -2.853505 -0.01 -0.01 0.23 -1.20
[Back to the entry]

Disorganized document management often leads to missed deadlines, affecting your ability to deliver products or services on time. This can result in dissatisfied clients, missed revenue opportunities, and even the loss of potential customers to more organized competitors. With Manage You’s document expiry tracking and notifications, you’ll never overlook a crucial deadline again, ensuring that your business remains on top of its game.

Compliance Nightmares and Financial Penalties

In industries governed by strict regulations, non-compliance can lead to severe financial penalties and reputational damage. Disorganization increases the risk of failing to meet regulatory requirements, leaving your business exposed to compliance nightmares. Manage You’s role-based access control and categorization features empower you to maintain compliance effortlessly, protecting your business from costly fines and legal complications.

Escalating Printing and Storage Costs

A disorganized document management system can be a breeding ground for unnecessary printing and storage expenses. With documents scattered across various physical locations, duplicate printouts and excessive storage needs can quickly escalate costs. Manage You’s digital document storage solution promotes a paperless environment, reducing printing expenses, and optimizing storage space, leading to significant cost savings.

[Someone pasted records of molecules at this point]
........
C8H21N5O | ωB97M-V/def2-TZVPD

Cartesian coordinates (Å):
1 C 0.210 2.245 2.093
2 C -1.810 -0.940 -0.568
3 C -0.479 -1.425 0.060
4 C -0.995 -0.819 1.388
5 C -0.326 3.506 2.565
6 C 0.797 -0.899 -0.606
7 C 0.847 -1.291 -2.072
8 C 2.237 -0.780 -2.541
9 N -2.187 -0.537 0.858
10 N -3.165 0.354 1.152
11 N -0.484 1.381 1.450
12 N -0.699 -1.169 2.635
13 N 2.509 -0.945 -3.993
14 O 1.462 1.967 2.492
15 H -1.701 -0.037 -1.094
16 H -2.288 -1.707 -0.959
17 H -0.338 -2.530 0.132
18 H -0.330 3.432 3.616
19 H 0.390 4.341 2.385
20 H -1.372 3.619 2.255
21 H 0.694 0.200 -0.716
22 H 1.729 -1.200 -0.180
23 H 0.670 -2.344 -2.182
24 H 0.047 -0.824 -2.663
25 H 2.217 0.207 -2.207
26 H 3.178 -1.016 -2.077
27 H -3.609 0.021 2.020
28 H -3.897 0.466 0.396
29 H -1.394 1.604 1.266
30 H -1.451 -1.047 3.366
31 H 1.805 1.056 2.043
32 H 0.080 -1.686 2.774
33 H 1.570 -0.678 -4.457
34 H 2.673 -2.034 -4.233
35 H 3.413 -0.487 -4.399

- Frontier orbital gap: 0.32654 Ha
- Energy above the lowest of the compared OMol25 structures with the same formula, charge and spin: 131.71 kJ/mol
- F_max: 6.17 eV/A
- Net charge: +2
- LUMO: -6.197 eV

* * * * *

# 1
{
  "formula": "C37H70NO14",
  "method": "ωB97M-V/def2-TZVPD",
  "species": ["C", "C", "O", "C", "C", "O", "N", "C", "C", "C", "C", "C", "C", "O", "C", "C", "C", "C", "C", "O", "C", "C", "H", "H", "H", "H", "H", "H", "H", "H", "H", "H", "H", "H", "H", "H", "H", "H", "H", "H", "H", "H", "H", "H", "H", "H", "H", "H", "H", "H", "H", "H", "O", "C", "O", "C", "C", "C", "H", "H", "H", "H", "H", "H", "H", "H", "O", "C", "O", "C", "C", "C", "H", "H", "H", "H", "H", "H", "H", "H", "O", "C", "O", "C", "C", "C", "H", "H", "H", "H", "H", "H", "H", "H", "O", "C", "O", "C", "C", "C", "H", "H", "H", "H", "H", "H", "H", "H", "O", "C", "O", "C", "C", "C", "H", "H", "H", "H", "H", "H", "H", "H"],
........
[End of the records of molecules]

Data Vulnerability and Security Breaches

Disorganized documents are more susceptible to security breaches and data loss. Inadequate access controls and scattered files can expose sensitive information to unauthorized access, potentially damaging your brand’s reputation and customer trust. Manage You’s advanced encryption and secure cloud storage ensure that your data remains protected, reducing the risk of security breaches and safeguarding your business’s integrity.

Employee Frustration and Diminished Morale

Disorganization affects not only your business processes but also your employees’ morale. Constantly battling with chaotic document management can lead to frustration and demotivation among your team. Implementing Manage You brings a sense of order and efficiency, boosting employee morale and fostering a positive work environment that nurtures collaboration and innovation.


The cost of disorganization is far-reaching and can impact your business in multiple ways. From lost time and revenue to compliance risks and security breaches, the consequences can be severe. Embrace the solution that Manage You offers and revolutionize your document management approach. With its centralized storage, advanced search capabilities, compliance features, and robust security, Manage You empowers your business to overcome disorganization, boost productivity, and thrive in today’s competitive market.

Don’t let disorganization hold your business back. Sign up for Manage You today at and unlock the potential for greater efficiency, enhanced security, and future success. Manage You: Your partner in transforming chaos into streamlined success.